Job =
It remains to repeat all of the contents underneath exactly.
Given =
(1)
First-principles (PBE) data for a relaxed Cu3Se2Cl2O6 crystal, as listed in the Materials Project database.

Unit cell a=6.1710 b=8.0544 c=8.6790 alpha=91.08 beta=94.86 gamma=91.84
Fractional positions:
Cu (0.6057, 0.8221, 0.9248)
Cu (0.9023, 0.5971, 0.1288)
Cu (0.3943, 0.1779, 0.0752)
Cu (0.6949, 0.4029, 0.4319)
Cu (0.0977, 0.4029, 0.8712)
Cu (0.3051, 0.5971, 0.5681)
Se (0.1009, 0.8184, 0.8212)
Se (0.8991, 0.1816, 0.1788)
Se (0.3809, 0.6976, 0.2242)
Se (0.6191, 0.3024, 0.7758)
Cl (0.9657, 0.2726, 0.5666)
Cl (0.0343, 0.7274, 0.4334)
Cl (0.5875, 0.8754, 0.6752)
Cl (0.4125, 0.1246, 0.3248)
O (0.3134, 0.8828, 0.9556)
O (0.5285, 0.4281, 0.6173)
O (0.2083, 0.5556, 0.1200)
O (0.6866, 0.1172, 0.0444)
O (0.8222, 0.3840, 0.2315)
O (0.0861, 0.2218, 0.0402)
O (0.4715, 0.5719, 0.3827)
O (0.6155, 0.6907, 0.1186)
O (0.7917, 0.4444, 0.8800)
O (0.1778, 0.6160, 0.7685)
O (0.3845, 0.3093, 0.8814)
O (0.9139, 0.7782, 0.9598)

**Symmetry**: P-1, No. 2
**Total magnetic moment**: 1.80 Bohr magnetons per cell


(2)
First-principles (PBE) data for a relaxed Cu9Se4Cl6O14 crystal, as listed in the Materials Project database.

Unit cell a=6.3223 b=8.2891 c=11.9565 alpha=79.82 beta=74.67 gamma=67.58
Fractional positions:
Cu (0.8784, 0.1495, 0.0938)
Cu (0.2891, 0.1565, 0.2653)
Cu (0.3845, 0.4463, 0.7848)
Cu (0.6155, 0.5537, 0.2152)
Cu (0.5000, 0.5000, 0.5000)
Cu (0.1216, 0.8505, 0.9062)
Cu (0.5000, 0.5000, 0.0000)
Cu (0.7109, 0.8435, 0.7347)
Cu (0.0000, 0.5000, 0.0000)
Se (0.9606, 0.2737, 0.8052)
Se (0.0394, 0.7263, 0.1948)
Se (0.2541, 0.8541, 0.6378)
Se (0.7459, 0.1459, 0.3622)
Cl (0.3671, 0.1954, 0.0703)
Cl (0.4487, 0.7413, 0.3612)
Cl (0.6329, 0.8046, 0.9297)
Cl (0.5513, 0.2587, 0.6388)
Cl (0.1639, 0.2251, 0.4470)
Cl (0.8361, 0.7749, 0.5530)
O (0.7586, 0.4037, 0.0791)
O (0.9194, 0.5940, 0.1542)
O (0.3685, 0.6274, 0.6356)
O (0.3324, 0.5940, 0.1542)
O (0.9842, 0.1109, 0.9208)
O (0.3809, 0.8780, 0.7460)
O (0.0049, 0.1220, 0.2540)
O (0.6676, 0.4060, 0.8458)
O (0.0806, 0.4060, 0.8458)
O (0.0158, 0.8891, 0.0792)
O (0.2414, 0.5963, 0.9209)
O (0.6315, 0.3726, 0.3644)
O (0.9951, 0.8780, 0.7460)
O (0.6191, 0.1220, 0.2540)

**Symmetry**: C2/m, No. 12
**Total magnetic moment**: 0.38 Bohr magnetons per cell


(3)
First-principles (PBE) data for a relaxed Cu5Se2Cl2O8 crystal, as listed in the Materials Project database.

Unit cell a=5.6781 b=6.1556 c=13.9109 alpha=90.00 beta=90.00 gamma=95.05
Fractional positions:
Cu (0.5091, 0.7416, 0.0035)
Cu (0.0531, 0.4335, 0.3119)
Cu (0.9469, 0.5665, 0.6881)
Cu (0.5000, 0.5000, 0.5000)
Cu (0.5531, 0.4335, 0.1881)
Cu (0.4469, 0.5665, 0.8119)
Cu (0.0091, 0.7416, 0.4965)
Cu (0.4909, 0.2584, 0.9965)
Cu (0.0000, 0.5000, 0.0000)
Cu (0.9909, 0.2584, 0.5035)
Se (0.5996, 0.9339, 0.6347)
Se (0.9004, 0.0661, 0.1347)
Se (0.0996, 0.9339, 0.8653)
Se (0.4004, 0.0661, 0.3653)
Cl (0.2294, 0.3299, 0.6757)
Cl (0.7294, 0.3299, 0.8243)
Cl (0.7706, 0.6701, 0.3243)
Cl (0.2706, 0.6701, 0.1757)
O (0.4269, 0.7700, 0.5565)
O (0.1819, 0.5052, 0.4410)
O (0.6305, 0.0257, 0.0736)
O (0.6819, 0.5052, 0.0590)
O (0.3141, 0.2493, 0.2777)
O (0.0731, 0.2300, 0.0565)
O (0.5731, 0.2300, 0.4435)
O (0.8181, 0.4948, 0.5590)
O (0.8695, 0.9743, 0.5736)
O (0.1859, 0.7507, 0.7777)
O (0.6859, 0.7507, 0.7223)
O (0.3181, 0.4948, 0.9410)
O (0.8141, 0.2493, 0.2223)
O (0.9269, 0.7700, 0.9435)
O (0.1305, 0.0257, 0.4264)
O (0.3695, 0.9743, 0.9264)

**Symmetry**: P2_1/c, No. 14
**Total magnetic moment**: 6.00 Bohr magnetons per cell


(4)
First-principles (PBE) data for a relaxed CuSeClO5 crystal, as listed in the Materials Project database.

Unit cell a=6.6843 b=8.8083 c=17.8948 alpha=90.00 beta=90.00 gamma=90.00
Fractional positions:
Cu (0.1083, 0.1307, 0.2500)
Cu (0.8917, 0.8693, 0.7500)
Cu (0.6083, 0.3693, 0.7500)
Cu (0.3917, 0.6307, 0.2500)
Cu (0.0000, 0.0000, 0.0000)
Cu (0.5000, 0.5000, 0.0000)
Cu (0.0000, 0.0000, 0.5000)
Cu (0.5000, 0.5000, 0.5000)
Se (0.1508, 0.3113, 0.5627)
Se (0.8492, 0.6888, 0.4373)
Se (0.6508, 0.1888, 0.4373)
Se (0.8492, 0.6888, 0.0627)
Result =
(1)
First-principles (PBE) data for a relaxed Cu3Se2Cl2O6 crystal, as listed in the Materials Project database.

Unit cell a=6.1710 b=8.0544 c=8.6790 alpha=91.08 beta=94.86 gamma=91.84
Fractional positions:
Cu (0.6057, 0.8221, 0.9248)
Cu (0.9023, 0.5971, 0.1288)
Cu (0.3943, 0.1779, 0.0752)
Cu (0.6949, 0.4029, 0.4319)
Cu (0.0977, 0.4029, 0.8712)
Cu (0.3051, 0.5971, 0.5681)
Se (0.1009, 0.8184, 0.8212)
Se (0.8991, 0.1816, 0.1788)
Se (0.3809, 0.6976, 0.2242)
Se (0.6191, 0.3024, 0.7758)
Cl (0.9657, 0.2726, 0.5666)
Cl (0.0343, 0.7274, 0.4334)
Cl (0.5875, 0.8754, 0.6752)
Cl (0.4125, 0.1246, 0.3248)
O (0.3134, 0.8828, 0.9556)
O (0.5285, 0.4281, 0.6173)
O (0.2083, 0.5556, 0.1200)
O (0.6866, 0.1172, 0.0444)
O (0.8222, 0.3840, 0.2315)
O (0.0861, 0.2218, 0.0402)
O (0.4715, 0.5719, 0.3827)
O (0.6155, 0.6907, 0.1186)
O (0.7917, 0.4444, 0.8800)
O (0.1778, 0.6160, 0.7685)
O (0.3845, 0.3093, 0.8814)
O (0.9139, 0.7782, 0.9598)

**Symmetry**: P-1, No. 2
**Total magnetic moment**: 1.80 Bohr magnetons per cell


(2)
First-principles (PBE) data for a relaxed Cu9Se4Cl6O14 crystal, as listed in the Materials Project database.

Unit cell a=6.3223 b=8.2891 c=11.9565 alpha=79.82 beta=74.67 gamma=67.58
Fractional positions:
Cu (0.8784, 0.1495, 0.0938)
Cu (0.2891, 0.1565, 0.2653)
Cu (0.3845, 0.4463, 0.7848)
Cu (0.6155, 0.5537, 0.2152)
Cu (0.5000, 0.5000, 0.5000)
Cu (0.1216, 0.8505, 0.9062)
Cu (0.5000, 0.5000, 0.0000)
Cu (0.7109, 0.8435, 0.7347)
Cu (0.0000, 0.5000, 0.0000)
Se (0.9606, 0.2737, 0.8052)
Se (0.0394, 0.7263, 0.1948)
Se (0.2541, 0.8541, 0.6378)
Se (0.7459, 0.1459, 0.3622)
Cl (0.3671, 0.1954, 0.0703)
Cl (0.4487, 0.7413, 0.3612)
Cl (0.6329, 0.8046, 0.9297)
Cl (0.5513, 0.2587, 0.6388)
Cl (0.1639, 0.2251, 0.4470)
Cl (0.8361, 0.7749, 0.5530)
O (0.7586, 0.4037, 0.0791)
O (0.9194, 0.5940, 0.1542)
O (0.3685, 0.6274, 0.6356)
O (0.3324, 0.5940, 0.1542)
O (0.9842, 0.1109, 0.9208)
O (0.3809, 0.8780, 0.7460)
O (0.0049, 0.1220, 0.2540)
O (0.6676, 0.4060, 0.8458)
O (0.0806, 0.4060, 0.8458)
O (0.0158, 0.8891, 0.0792)
O (0.2414, 0.5963, 0.9209)
O (0.6315, 0.3726, 0.3644)
O (0.9951, 0.8780, 0.7460)
O (0.6191, 0.1220, 0.2540)

**Symmetry**: C2/m, No. 12
**Total magnetic moment**: 0.38 Bohr magnetons per cell


(3)
First-principles (PBE) data for a relaxed Cu5Se2Cl2O8 crystal, as listed in the Materials Project database.

Unit cell a=5.6781 b=6.1556 c=13.9109 alpha=90.00 beta=90.00 gamma=95.05
Fractional positions:
Cu (0.5091, 0.7416, 0.0035)
Cu (0.0531, 0.4335, 0.3119)
Cu (0.9469, 0.5665, 0.6881)
Cu (0.5000, 0.5000, 0.5000)
Cu (0.5531, 0.4335, 0.1881)
Cu (0.4469, 0.5665, 0.8119)
Cu (0.0091, 0.7416, 0.4965)
Cu (0.4909, 0.2584, 0.9965)
Cu (0.0000, 0.5000, 0.0000)
Cu (0.9909, 0.2584, 0.5035)
Se (0.5996, 0.9339, 0.6347)
Se (0.9004, 0.0661, 0.1347)
Se (0.0996, 0.9339, 0.8653)
Se (0.4004, 0.0661, 0.3653)
Cl (0.2294, 0.3299, 0.6757)
Cl (0.7294, 0.3299, 0.8243)
Cl (0.7706, 0.6701, 0.3243)
Cl (0.2706, 0.6701, 0.1757)
O (0.4269, 0.7700, 0.5565)
O (0.1819, 0.5052, 0.4410)
O (0.6305, 0.0257, 0.0736)
O (0.6819, 0.5052, 0.0590)
O (0.3141, 0.2493, 0.2777)
O (0.0731, 0.2300, 0.0565)
O (0.5731, 0.2300, 0.4435)
O (0.8181, 0.4948, 0.5590)
O (0.8695, 0.9743, 0.5736)
O (0.1859, 0.7507, 0.7777)
O (0.6859, 0.7507, 0.7223)
O (0.3181, 0.4948, 0.9410)
O (0.8141, 0.2493, 0.2223)
O (0.9269, 0.7700, 0.9435)
O (0.1305, 0.0257, 0.4264)
O (0.3695, 0.9743, 0.9264)

**Symmetry**: P2_1/c, No. 14
**Total magnetic moment**: 6.00 Bohr magnetons per cell


(4)
First-principles (PBE) data for a relaxed CuSeClO5 crystal, as listed in the Materials Project database.

Unit cell a=6.6843 b=8.8083 c=17.8948 alpha=90.00 beta=90.00 gamma=90.00
Fractional positions:
Cu (0.1083, 0.1307, 0.2500)
Cu (0.8917, 0.8693, 0.7500)
Cu (0.6083, 0.3693, 0.7500)
Cu (0.3917, 0.6307, 0.2500)
Cu (0.0000, 0.0000, 0.0000)
Cu (0.5000, 0.5000, 0.0000)
Cu (0.0000, 0.0000, 0.5000)
Cu (0.5000, 0.5000, 0.5000)
Se (0.1508, 0.3113, 0.5627)
Se (0.8492, 0.6888, 0.4373)
Se (0.6508, 0.1888, 0.4373)
Se (0.8492, 0.6888, 0.0627)